Hilt, ViewModels & Assisted Injection

Exploring the new built-in support

Fred Porciúncula


I've had a draft about Hilt and assisted injection for years. I've never published it mostly because I wasn't happy with the setup needed in order to achieve assisted injection with it, and because I was really hopeful proper support would land soon.

It took more than 3 years, but Hilt ViewModel assisted injection finally shipped on Dagger 2.49 and this popular issue has finally been closed!

My draft was long, but thankfully this post will be pretty short. You can also read all about it in the docs, except how it works in Compose, which will be covered here.

Assisted injection was introduced in Dagger 2.31. This article assumes you’re familiar with it, otherwise I would recommend reading the (short!) documentation about it.

Let's start with a humble ViewModel:

_Records of crystals, kept here for reference_
Structure and calculated powder X-ray diffraction pattern of NpZnRu (a crystal structure in Alexandria, relaxed with GGA-PBE; Cu Kα (weighted mean of Kα1 and Kα2)).
Peak positions follow from Bragg's law for the DFT cell and can differ from measured ones.

a b c (Å): 4.2717 4.9792 10.4155
angles (deg): 90.00 90.00 90.00
Space group Immm (No. 71)
Symmetry-distinct sites (fractional):
Np (0.0000, 0.0000, 0.1909) [4 per cell]
Zn (0.0000, 0.2471, 0.5000) [4 per cell]
Ru (0.0000, 0.5000, 0.1299) [4 per cell]

Most intense lines, 2θ from 5° to 70°, sorted by position:
h k l  2θ (°)  intensity
0 0 2  17.0  21
1 1 2  32.5  43
1 0 3  33.3  100
0 2 0  36.1  22
0 2 2  40.1  29
_End of the records of crystals_

I'm adding the SavedStateHandle there as a reminder that it can be added as a regular dependency since it's a binding from the ViewModelComponent. We can actually use it to carry assisted arguments to our ViewModel, but there's no need to do this anymore now that assisted injection is properly supported, and so it'll be omitted from here on.

Now let's say our ViewModel needs to receive a runtime argument (i.e. intent extras, navigation arguments, etc). This is how it should look like:

Everything here follows regular assisted injection in Dagger:

  • @Inject turns into @AssistedInject
  • The assisted argument is annotated with @Assisted
  • A factory annotated with @AssistedFactory is introduced

The interesting part is that @HiltViewModel remains and we must pass the factory as an argument. And that's it! With this in place, this ViewModel can be created in an activity or a fragment like this:


If you're using hilt-navigation-compose, Hilt 1.2.0 added assisted injection support in hiltViewModel(). Creating that same ViewModel is even easier here:

Otherwise, you can use viewModel() from lifecycle-viewmodel-compose. It hasn't been updated but it already receives an extras argument we can use for this. The API is not great for this case, though, and we basically need to write the same code behind hiltViewModel() ourselves:

Or we can simplify it if we know our viewModelStoreOwner is of type HasDefaultViewModelProviderFactory (it will be for the usual cases with activities, fragments, NavBackStackEntry, etc):

I've filed an issue about this here, but then I was told hiltViewModel() should always be the one used if we're using Hilt, regardless if the navigation library is being used or not. That would mean potentially bringing (transitively) the navigation library unnecessarily, though, so I've opened a separate issue about this here — keep an eye on it if you're interested in what comes next!

I’m on Twitter and on Mastodon, feel free to reach out if I missed anything or if you have any questions 👋

